Group Assignment

Actuate and automate your machine.

Document the group project.

Individual Assignment

Document your individual contribution.

Learning outcomes

Work and communicate effectively in a team and independently.

Design, plan and build a system.

Analyse and solve technical problems.

### Data records from another source follow
For Li4V5Cr2O12, the GGA+U geometry in the Materials Project gives the computed powder diffractogram in this record (a wavelength of 1.5418 Å).

Crystal structure
a b c (Å): 5.111 9.149 9.928
angles (deg): 90.00 101.94 90.00
Space group P2_1 (No. 4)
Inequivalent atoms, fractional coordinates:
Li: 0.004 0.000 0.256 x2
Li: 0.005 0.164 0.738 x2
Li: 0.259 0.160 0.498 x2
Li: 0.494 0.992 0.739 x2
V: 0.010 0.319 0.259 x2
V: 0.238 0.999 0.003 x2
V: 0.246 0.653 0.005 x2
V: 0.249 0.505 0.507 x2
V: 0.497 0.327 0.745 x2
Cr: 0.253 0.828 0.503 x2
Cr: 0.260 0.324 0.005 x2
O: 0.115 0.674 0.619 x2
O: 0.118 0.982 0.619 x2
O: 0.128 0.340 0.625 x2
O: 0.128 0.828 0.121 x2
O: 0.129 0.167 0.118 x2
O: 0.132 0.476 0.124 x2
O: 0.352 0.832 0.888 x2
O: 0.363 0.349 0.385 x2
O: 0.366 0.172 0.877 x2
O: 0.366 0.670 0.385 x2
O: 0.380 0.478 0.889 x2
O: 0.380 0.972 0.378 x2

Top 12 peaks for 10 to 90 degrees two-theta, in order of falling intensity:
- 2θ 42.13, intensity 100, (1 3 -3)
- 2θ 44.04, intensity 43, (2 0 2)
- 2θ 18.27, intensity 41, (0 0 2)
- 2θ 23.72, intensity 35, (1 1 1)
- 2θ 62.48, intensity 25, (3 3 -1)
- 2θ 19.40, intensity 24, (0 2 0)
- 2θ 62.68, intensity 24, (1 3 5)
- 2θ 36.69, intensity 16, (1 3 1)
- 2θ 60.74, intensity 13, (0 6 0)
- 2θ 61.46, intensity 13, (2 0 -6)
- 2θ 31.21, intensity 12, (1 1 -3)
- 2θ 20.64, intensity 11, (1 1 -1)

For Li4V3Cr5O16, the GGA+U geometry in the Materials Project gives the computed powder diffractogram in this record (a wavelength of 1.5418 Å).

Crystal structure
a b c (Å): 10.138 5.915 9.533
angles (deg): 90.00 90.81 90.00
Space group Cm (No. 8)
Inequivalent atoms, fractional coordinates:
Li: 0.000 0.000 0.000 x2
Li: 0.004 0.000 0.499 x2
Li: 0.170 0.500 0.604 x2
Li: 0.339 0.000 0.104 x2
V: 0.332 0.500 0.285 x2
V: 0.417 0.248 0.783 x4
Cr: 0.088 0.253 0.282 x4
Cr: 0.167 0.500 0.012 x2
Cr: 0.172 0.000 0.782 x2
Cr: 0.333 0.000 0.511 x2
O: 0.023 0.500 0.155 x2
O: 0.077 0.250 0.892 x4
O: 0.164 0.000 0.398 x2
O: 0.180 0.500 0.393 x2
O: 0.249 0.287 0.157 x4
O: 0.267 0.224 0.658 x4
O: 0.335 0.500 0.888 x2
O: 0.339 0.000 0.894 x2
O: 0.413 0.261 0.389 x4
O: 0.484 0.000 0.657 x2
O: 0.495 0.500 0.186 x2
O: 0.499 0.500 0.683 x2

Top 12 peaks for 10 to 90 degrees two-theta, in order of falling intensity:
- 2θ 18.62, intensity 100, (0 0 2)
- 2θ 19.68, intensity 91, (2 0 -1)
- 2θ 35.73, intensity 60, (0 2 2)
- 2θ 45.42, intensity 54, (4 0 -3)
- 2θ 19.77, intensity 53, (1 1 1)
- 2θ 63.41, intensity 43, (6 2 0)
- 2θ 36.51, intensity 37, (2 2 1)
- 2θ 60.37, intensity 35, (2 2 -5)
- 2θ 45.73, intensity 32, (2 2 3)
- 2θ 36.15, intensity 30, (3 1 2)
- 2θ 33.08, intensity 28, (2 0 -3)
- 2θ 25.47, intensity 28, (1 1 -2)

----------

1.
Starting from DFT lattice parameters and positions (PBE), the powder X-ray diffraction pattern of RbMgSb2Pb was computed for Cu Kα.
Intensities are scaled so that the largest is 100.

Atomic structure:
```
data_RbMgSb2Pb
_cell_length_a 4.960
_cell_length_b 4.960
_cell_length_c 15.423
_cell_angle_alpha 90.00

Recognise opportunities for improvements in the design.

Have you?

Recognise opportunities for improvements in the design.


Date: 15-22 May 2019


A0 Links

You can see the group assignment here

This Assignment continues the work made in the week 14

At first I got in charge of the wires and electronics. I used dupont connectors to prepare all the wires and connect them to the Arduino Mega Shield.

It's important to use a good pliers to crip correctly the wires, after that you need to put them in plastic box in the correct order. If the connectors are not correctly crimped, it won't be easy to put them inside the blackbox.

I connect the motors to the shield using separate wires, I did it like this because i thought that it would be easier to connect them later to the arduino, which is wide in the rotary base.

For the end-stops I could use screws but I preferred to sold them. When I finished I left everything in the rotary base waiting for the next day to put all the parts together. I think It's a nice picture.

We made many tries without the base mounted but I want to show you here the final part of the electronics and how we manage to connect everything and close the rotary base. Maybe we could think about this better... Anyway, at the end all the wires were inside, alive and well.

P.D. the black piece to hide the hole for the power and connection wires it was a quick upgrade of the machine. Just a 3dprint part made designed in minutes. I uploaded the file anyway.

Rodrigo Gamboa acted like the master of this assignment but the three of us collaborate during a very long weekend getting crazy to understand our version of Marlin and learning to make it work without a hotend working. It was hard but we enjoyed a lot.

We based on the adapted Marlin version of this guy but when we tried to make it work we have a problem after other, and the worst of them: We could not find a logic to explein them. At some point we chose to look for another version of Marlin. And the version of Oscar Gonzalez in bricogeek it was the answer to all our prays, and I meant this for real. He is something close to a hero for us.

His version has disabled the hotends and all the other security measures for 3dprinters, which is perfect for us, because our actuator is a LED.


The calibration it was a long day of fails and victories, mostly because we did not understand the program a lot. We learn many things about GCODES this days. For example:

  • M114 Gives you the exact position of the motor in every axis, we use this to adjust the maximum steps for the home that the servo could do.
  • G28 send one (if you specified one) or all the axes to home
  • G1 X10 Y10 Z10
  • The values after G11 is where the machine is going.
  • G1 x10 y10 z10 f500
  • If you put fxxx after them you are also defining the speed.

To calibrate the machine we found two problems, our distances (except Z) are defined in degrees not in mm.

here is a video of our first success

When we understand that our machine uses polar coordinates I started to think a way to create gcodes that can be read correctly by our machine. I used grasshopper to do this. It's a basic code but very useful for us. Basically I divided define the movements that the machine can do and then I divide the curve that I want to draw in point and translate the world coordinates of this points into polar coodinates based on the size and positions of the arms of the SCARLIGHT machine.

Here is a plan where is posible to see the curves that the machine could do, in this first version I was only worried about the x-y plane, because is the one that is made using polar coordinates, Z is linear and much easier to define.

Here is the grasshopper code that it's necessary to transform the coordinates and then adapt to the gcode. the result is a list of point defined by a new coordinate system based on our very specific machine.

Now is posible to draw anything and the program transforms the points into a list ready to send to Marlin. Here is an example saying "hola" which means hello

And here is another one creating a xpiral around the centrar axis

I created some videos to test the machine interface

They can be seen in our final video but here is a little gif for starters.